-- Brief --
What is needed: print all of the notes underneath unchanged.

-- Listing --
........
# BaCaDySbO6

A relaxed BaCaDySbO6 crystal (PBE, the Materials Project).

## Properties
- DFT formation energy (eV/atom) = -3.01
- size of the total moment (μB/f.u.) = 0.0

The structure in POSCAR format:
```
BaCaDySbO6
1.0
0.000 -4.206 -4.206
4.206 0.000 -4.206
4.206 -4.206 0.000
Ba Ca Dy Sb O
1 1 1 1 6
Direct
0.250 0.250 0.250
0.750 0.750 0.750
0.000 0.000 0.000
0.500 0.500 0.500
0.738 0.262 0.262
0.262 0.738 0.738
0.738 0.262 0.738
0.262 0.738 0.262
0.738 0.738 0.262
0.262 0.262 0.738
```


{"formula": "CsO2", "functional": "GGA-PBE", "state": "optimized geometry", "relative_energy_mev_per_atom": 44, "spacegroup": "Pnnm (58)", "formation_enthalpy_0k_ev_per_atom": -0.94, "lattice_angstrom": [[-1.4393, 1.4780, -4.3881], [-2.8457, -3.9441, -0.3950], [-5.1853, 3.4544, 2.8643]], "species": ["O", "O", "O", "O", "Cs", "Cs"], "frac_coords": [[0.8862, 0.0000, 0.4424], [0.1138, 0.0000, 0.5576], [0.6138, 0.5000, 0.9424], [0.3862, 0.5000, 0.0576], [0.5000, 0.5000, 0.5000], [0.0000, 0.0000, 0.0000]]}


4
Lattice="0.000 3.396 3.396 3.396 0.000 3.396 3.396 3.396 0.000" Properties=species:S:1:pos:R:3 comment="TbErRh2, relaxed, DFT r²SCAN" formation_energy_mev_per_atom=-952 pbc="T T T"
Tb 0.000 0.000 0.000
Er 3.396 3.396 3.396
Rh 1.698 1.698 1.698
Rh 5.094 5.094 5.094

4
Lattice="0.000 3.394 3.394 3.394 0.000 3.394 3.394 3.394 0.000" Properties=species:S:1:pos:R:3 comment="YErRh2, relaxed, DFT r²SCAN" formation_energy_mev_per_atom=-938 pbc="T T T"
Y 0.000 0.000 0.000
Er 3.394 3.394 3.394
Rh 1.697 1.697 1.697
Rh 5.091 5.091 5.091

12
Lattice="6.861 0.000 0.000 0.000 3.954 0.000 0.000 0.000 8.037" Properties=species:S:1:pos:R:3 comment="ErZnRh, relaxed, DFT r²SCAN" formation_energy_mev_per_atom=-794 pbc="T T T"
Er 0.286 0.989 1.473
Er 3.145 2.966 5.492
Er 3.716 0.989 2.545
Er 6.575 2.966 6.563
Zn 0.923 0.989 4.526
Zn 2.508 2.966 0.507
Zn 4.353 0.989 7.529
Zn 5.938 2.966 3.511
Rh 1.698 2.966 3.019
Rh 1.733 0.989 7.037
Rh 5.128 2.966 1.000
Rh 5.163 0.989 5.018


A plane-wave DFT calculation with GGA-PBE was carried out for crystalline Eu2Al3Ga at its relaxed geometry.

abc: 5.7261 5.7261 5.7261
angles: 59.34 59.34 59.34
Last column: nearest neighbours and their distance in Å.
Fractional positions:
Eu (0.1251, 0.1251, 0.1251)  3 Ga 3.32, 9 Al 3.34-3.36, 4 Eu 3.48-3.53
Eu (0.8749, 0.8749, 0.8749)  3 Ga 3.32, 9 Al 3.34-3.36, 4 Eu 3.48-3.53
Al (0.5000, 0.0000, 0.5000)  4 Al 2.83, 2 Ga 2.86
Al (0.0000, 0.5000, 0.5000)  4 Al 2.83, 2 Ga 2.86
Al (0.5000, 0.5000, 0.0000)  4 Al 2.83, 2 Ga 2.86
Ga (0.5000, 0.5000, 0.5000)  6 Al 2.86

Formation enthalpy at 0 K: -0.42 eV/atom
Space-group type: R-3m, No. 166
Total magnetic moment: 13.98 μB per cell



A plane-wave DFT calculation with GGA-PBE was carried out for crystalline EuAlGe at its relaxed geometry.

abc: 8.0654 8.0654 8.0654
angles: 148.65 148.65 44.93
Last column: nearest neighbours and their distance in Å.
Fractional positions:
Ge (0.7491, 0.2491, 0.5000)  3 Al 2.48-2.51
Ge (0.9991, 0.9991, 0.0000)  3 Al 2.48-2.51
Al (0.9156, 0.4156, 0.5000)  3 Ge 2.48-2.51
Al (0.1656, 0.1656, 0.0000)  3 Ge 2.48-2.51
Eu (0.3323, 0.8323, 0.5000)  6 Al 3.31-3.32, 6 Ge 3.31-3.32
Eu (0.5823, 0.5823, 0.0000)  6 Al 3.31-3.32, 6 Ge 3.31-3.32

Formation enthalpy at 0 K: -0.54 eV/atom
Space-group type: I4_1md, No. 109



A plane-wave DFT calculation with GGA-PBE was carried out for crystalline EuAl2Ge at its relaxed geometry.

abc: 4.2831 7.2465 11.2430
angles: 90.00 90.00 90.00
Last column: nearest neighbours and their distance in Å.
Fractional positions:
Eu (0.7500, 0.6402, 0.3603)  3 Ge 3.13-3.17, 7 Al 3.20-3.49
Eu (0.7500, 0.1402, 0.1397)  3 Ge 3.13-3.17, 7 Al 3.20-3.49
Eu (0.2500, 0.3598, 0.6397)  3 Ge 3.13-3.17, 7 Al 3.20-3.49
Eu (0.2500, 0.8598, 0.8603)  3 Ge 3.13-3.17, 7 Al 3.20-3.49
Ge (0.7500, 0.1749, 0.8591)  4 Al 2.50-2.64
Ge (0.2500, 0.3251, 0.3591)  4 Al 2.50-2.64
Ge (0.7500, 0.6749, 0.6409)  4 Al 2.50-2.64
Ge (0.2500, 0.8251, 0.1409)  4 Al 2.50-2.64
Al (0.2500, 0.4672, 0.1568)  2 Ge 2.50-2.60, 3 Al 2.62-2.72
........

-- Outcome --
# BaCaDySbO6

A relaxed BaCaDySbO6 crystal (PBE, the Materials Project).

## Properties
- DFT formation energy (eV/atom) = -3.01
- size of the total moment (μB/f.u.) = 0.0

The structure in POSCAR format:
```
BaCaDySbO6
1.0
0.000 -4.206 -4.206
4.206 0.000 -4.206
4.206 -4.206 0.000
Ba Ca Dy Sb O
1 1 1 1 6
Direct
0.250 0.250 0.250
0.750 0.750 0.750
0.000 0.000 0.000
0.500 0.500 0.500
0.738 0.262 0.262
0.262 0.738 0.738
0.738 0.262 0.738
0.262 0.738 0.262
0.738 0.738 0.262
0.262 0.262 0.738
```


{"formula": "CsO2", "functional": "GGA-PBE", "state": "optimized geometry", "relative_energy_mev_per_atom": 44, "spacegroup": "Pnnm (58)", "formation_enthalpy_0k_ev_per_atom": -0.94, "lattice_angstrom": [[-1.4393, 1.4780, -4.3881], [-2.8457, -3.9441, -0.3950], [-5.1853, 3.4544, 2.8643]], "species": ["O", "O", "O", "O", "Cs", "Cs"], "frac_coords": [[0.8862, 0.0000, 0.4424], [0.1138, 0.0000, 0.5576], [0.6138, 0.5000, 0.9424], [0.3862, 0.5000, 0.0576], [0.5000, 0.5000, 0.5000], [0.0000, 0.0000, 0.0000]]}


4
Lattice="0.000 3.396 3.396 3.396 0.000 3.396 3.396 3.396 0.000" Properties=species:S:1:pos:R:3 comment="TbErRh2, relaxed, DFT r²SCAN" formation_energy_mev_per_atom=-952 pbc="T T T"
Tb 0.000 0.000 0.000
Er 3.396 3.396 3.396
Rh 1.698 1.698 1.698
Rh 5.094 5.094 5.094

4
Lattice="0.000 3.394 3.394 3.394 0.000 3.394 3.394 3.394 0.000" Properties=species:S:1:pos:R:3 comment="YErRh2, relaxed, DFT r²SCAN" formation_energy_mev_per_atom=-938 pbc="T T T"
Y 0.000 0.000 0.000
Er 3.394 3.394 3.394
Rh 1.697 1.697 1.697
Rh 5.091 5.091 5.091

12
Lattice="6.861 0.000 0.000 0.000 3.954 0.000 0.000 0.000 8.037" Properties=species:S:1:pos:R:3 comment="ErZnRh, relaxed, DFT r²SCAN" formation_energy_mev_per_atom=-794 pbc="T T T"
Er 0.286 0.989 1.473
Er 3.145 2.966 5.492
Er 3.716 0.989 2.545
Er 6.575 2.966 6.563
Zn 0.923 0.989 4.526
Zn 2.508 2.966 0.507
Zn 4.353 0.989 7.529
Zn 5.938 2.966 3.511
Rh 1.698 2.966 3.019
Rh 1.733 0.989 7.037
Rh 5.128 2.966 1.000
Rh 5.163 0.989 5.018


A plane-wave DFT calculation with GGA-PBE was carried out for crystalline Eu2Al3Ga at its relaxed geometry.

abc: 5.7261 5.7261 5.7261
angles: 59.34 59.34 59.34
Last column: nearest neighbours and their distance in Å.
Fractional positions:
Eu (0.1251, 0.1251, 0.1251)  3 Ga 3.32, 9 Al 3.34-3.36, 4 Eu 3.48-3.53
Eu (0.8749, 0.8749, 0.8749)  3 Ga 3.32, 9 Al 3.34-3.36, 4 Eu 3.48-3.53
Al (0.5000, 0.0000, 0.5000)  4 Al 2.83, 2 Ga 2.86
Al (0.0000, 0.5000, 0.5000)  4 Al 2.83, 2 Ga 2.86
Al (0.5000, 0.5000, 0.0000)  4 Al 2.83, 2 Ga 2.86
Ga (0.5000, 0.5000, 0.5000)  6 Al 2.86

Formation enthalpy at 0 K: -0.42 eV/atom
Space-group type: R-3m, No. 166
Total magnetic moment: 13.98 μB per cell



A plane-wave DFT calculation with GGA-PBE was carried out for crystalline EuAlGe at its relaxed geometry.

abc: 8.0654 8.0654 8.0654
angles: 148.65 148.65 44.93
Last column: nearest neighbours and their distance in Å.
Fractional positions:
Ge (0.7491, 0.2491, 0.5000)  3 Al 2.48-2.51
Ge (0.9991, 0.9991, 0.0000)  3 Al 2.48-2.51
Al (0.9156, 0.4156, 0.5000)  3 Ge 2.48-2.51
Al (0.1656, 0.1656, 0.0000)  3 Ge 2.48-2.51
Eu (0.3323, 0.8323, 0.5000)  6 Al 3.31-3.32, 6 Ge 3.31-3.32
Eu (0.5823, 0.5823, 0.0000)  6 Al 3.31-3.32, 6 Ge 3.31-3.32

Formation enthalpy at 0 K: -0.54 eV/atom
Space-group type: I4_1md, No. 109



A plane-wave DFT calculation with GGA-PBE was carried out for crystalline EuAl2Ge at its relaxed geometry.

abc: 4.2831 7.2465 11.2430
angles: 90.00 90.00 90.00
Last column: nearest neighbours and their distance in Å.
Fractional positions:
Eu (0.7500, 0.6402, 0.3603)  3 Ge 3.13-3.17, 7 Al 3.20-3.49
Eu (0.7500, 0.1402, 0.1397)  3 Ge 3.13-3.17, 7 Al 3.20-3.49
Eu (0.2500, 0.3598, 0.6397)  3 Ge 3.13-3.17, 7 Al 3.20-3.49
Eu (0.2500, 0.8598, 0.8603)  3 Ge 3.13-3.17, 7 Al 3.20-3.49
Ge (0.7500, 0.1749, 0.8591)  4 Al 2.50-2.64
Ge (0.2500, 0.3251, 0.3591)  4 Al 2.50-2.64
Ge (0.7500, 0.6749, 0.6409)  4 Al 2.50-2.64
Ge (0.2500, 0.8251, 0.1409)  4 Al 2.50-2.64
Al (0.2500, 0.4672, 0.1568)  2 Ge 2.50-2.60, 3 Al 2.62-2.72